One of the first things you’ll notice, as you begin planning for your Mt. Elbrus trip, are some pretty serious travel warnings. And not just to the greater North Caucasus region, but specifically referring to the drive to Mt. Elbrus.
What are you to make of all this? Is it as dangerous and risky as you’ve read? Should you postpone your trip until things “cool down”? Or do the travel warnings not line up with present-day reality in 2019?
Read further for a play-by-play of what happens from the moment you land at the Caucasus Mineral Waters airport (Mineralni Vodi – MRV) and are transferred to Mt. Elbrus.
A little about us – My name is Andrew and I am an American. My wife and three young children (under 7 years old) have lived in the Mt. Elbrus region since 2015 and have made the drive to and from Mt. Elbrus well over 25 times. We have local friends in many cities/villages along the way (i.e. have been in their homes) and can personally vouch for the safety of the drive to Elbrus from our experiences.

1) Leg 1 of the Drive – Airport Arrival & Pick-Up – Wherever you flew from, welcome to the North Caucasus Mountains in southern Russia! The MRV airport is the hub airport for the region, receiving many flights every day. There are daily international flights from Istanbul, Turkey, and weekly international flights from Dubai, Israel, Greece, and other locations. All three Moscow airports have daily flights to MRV, with SVO (Sherymetyevo) servicing the most flights, and St. Petersburg (LED) has daily flights as well.
If you have a domestic flight to MRV, you’ll depart the plane into a waiting bus, and be transferred to baggage claim. Once you pick up your bags, head outside and your party should be waiting for you with a sign. It’s very cut and dry. If you fly in internationally (as a foreigner), you’ll clear customs first, then pick up your bags and head outside. Sometimes the customs officials will ask questions to foreigners arriving internationally; this is standard procedure, mainly because it’s a smaller regional airport that doesn’t process as many international flights as mega-cities like Moscow or St. Petersburg. If you arrive on an international flight, make sure to keep in your passport the customs card (small white slip of paper) they give you, as you must turn this back in at customs when departing the country.

Your driver/guide will help you with your bags, and once your things are loaded in the waiting car/van, you’re off to Mt. Elbrus, about a 3.5 hour drive away.
2) Leg 2 of the drive – Airport to Pyatigorsk – The first leg of this drive is relatively uneventful, as you start working your way past the historic city of Pyatigorsk towards the Caucasus mountain range. You’ll immediately notice a couple of smaller stand-alone mountain peaks 15 minutes from the airport. These are Mt. Beshtau (3 peaks clustered together) and Mt. Mashuk (with a red/white radio tower on top), both which have historic significance in Russian literature and Caucasus folklore.

If you’re hungry after your flight to MRV, Mineralni Vodi or Pyatigorsk would be the places to stop to grab a meal for the drive. Minernalni Vodi has a modern-looking mall “Vershina” right off the highway that has fast-food type restaurants you could stop by (bright blue lights, left side of the highway). Pyatigorsk has a McDonalds on the northern edge of the city, that is easy to stop at if you’re craving a taste of home.

Calculated crystals, kept here for reference:
<<<
Diffraction record for MnOF. The X-ray powder pattern is simulated, not measured: it uses a DFT-relaxed cell (PBE+U, Alexandria) and Cu Kα (λ = 1.5418 Å).
Lines closer than 0.1° are merged.

Most intense lines, 2θ = 5–70°, in order of rising 2θ:
2theta, intensity, hkl
24.57, 100.0, 0 1 2
30.07, 92.2, 1 1 1
30.39, 78.2, 1 1 -3
35.09, 20.2, 2 0 -2
35.87, 30.2, 1 2 -1
40.78, 21.9, 1 2 1
43.08, 17.4, 2 1 0
51.60, 18.1, 0 3 2
52.72, 23.7, 2 0 2
53.49, 51.7, 2 0 -6
53.87, 30.7, 1 2 -5
63.46, 26.7, 3 2 -3

Cell and atoms:
```
data_MnOF
_chemical_formula_sum 'Mn8 O8 F8'
_space_group_name_H-M_alt 'P 1 2/c 1'
_space_group_IT_number 13
_space_group_name_Hall '-P 2yc'
_cell_length_a 5.1145
_cell_length_b 5.7427
_cell_length_c 10.5865
_cell_angle_alpha 90.00
_cell_angle_beta 118.09
_cell_angle_gamma 90.00
loop_
_atom_site_label
_atom_site_type_symbol
_atom_site_fract_x
_atom_site_fract_y
_atom_site_fract_z
Mn1 Mn 0.0000 0.0972 0.2500
Mn2 Mn 0.2522 0.3491 0.9908
Mn3 Mn 0.5000 0.1994 0.7500
O1 O 0.0708 0.1447 0.6427
O2 O 0.4685 0.4133 0.8859
F1 F 0.0492 0.3444 0.1193
F2 F 0.4644 0.0822 0.3716
```

* * * * *

Record 1
Theoretical powder diffractogram of Ca3BI3N2 for a wavelength of 1.5418 Å, from a crystal structure in the Materials Project, relaxed with GGA-PBE.
Neutral-atom scattering factors, no anomalous dispersion.

Peak list (10 most intense, 2θ from 10° to 90°, in order of falling intensity)
- 2θ = 28.26°, rel. 100, hkl 0 4 2
- 2θ = 25.35°, rel. 38, hkl 4 0 1
- 2θ = 37.91°, rel. 34, hkl 4 0 4
- 2θ = 42.78°, rel. 25, hkl 4 4 0
- 2θ = 21.40°, rel. 18, hkl 0 0 3
- 2θ = 52.06°, rel. 14, hkl 8 0 2
- 2θ = 26.19°, rel. 12, hkl 3 1 2
- 2θ = 62.70°, rel. 11, hkl 4 4 6
- 2θ = 23.86°, rel. 10, hkl 1 1 3
- 2θ = 48.31°, rel. 9, hkl 4 4 3

Crystal structure
```
data_Ca3BI3N2
_cell_length_a 16.9111
_cell_length_b 16.9111
_cell_length_c 12.4661
_cell_angle_alpha 90.00
_cell_angle_beta 90.00
_cell_angle_gamma 120.00
_space_group_name_H-M_alt 'R 3 2'
_space_group_IT_number 155
_space_group_name_Hall 'R 3 2"'
loop_
_atom_site_label
_atom_site_fract_x
_atom_site_fract_y
_atom_site_fract_z
Ca1 0.0000 0.5157 0.0000
Ca2 0.0000 0.7202 0.0000
Ca3 0.0630 0.9110 0.6759
B1 0.0000 0.0000 0.5000
B2 0.0000 0.7648 0.5000
I1 0.0000 0.2281 0.5000
I2 0.0000 0.5017 0.5000
I3 0.0846 0.1797 0.1501
N1 0.0000 0.0000 0.3915
N2 0.0019 0.7645 0.3922
```

Record 2
Theoretical powder diffractogram of ErCuPbS3 for a wavelength of 1.5418 Å, from a crystal structure in the Materials Project, relaxed with GGA-PBE.
Neutral-atom scattering factors, no anomalous dispersion.

Peak list (10 most intense, 2θ from 10° to 90°, in order of falling intensity)
- 2θ = 22.17°, rel. 100, hkl 0 2 2
- 2θ = 31.94°, rel. 93, hkl 1 3 1
- 2θ = 45.24°, rel. 64, hkl 0 4 4
- 2θ = 35.51°, rel. 50, hkl 1 3 2
- 2θ = 27.27°, rel. 47, hkl 0 4 0
- 2θ = 25.29°, rel. 45, hkl 1 1 1
- 2θ = 35.36°, rel. 42, hkl 0 0 4
- 2θ = 66.76°, rel. 41, hkl 2 4 4
- 2θ = 29.59°, rel. 40, hkl 1 1 2
- 2θ = 35.72°, rel. 40, hkl 1 1 3

Crystal structure
>>>

From the airport, most drivers will skirt the eastern edge of Pyatigorsk, by the base of Mt. Mashuk, through the massive “Lira” market, which is a whole-sale market for small businesses and retailers from all across the North Caucasus. If you stop by the McDonalds in Pyatigorsk, you have the option of driving straight through the city as well. Be mindful of the time of day if you do this, as Pyatigorsk streets are pretty narrow, and at rush hour the traffic can get pretty backed-up.
You may see a police officer or two standing on the side of the road these first 45 minutes as you work your way past Pyatigorsk. This is normal in Russia; road cops stand on the side of the road, and with their black/white batons, can point at random at vehicles, for them to pull over and check that their documents are in order. This might be different from your home country, but is totally normal here, so nothing to worry about.
3) Leg 3 of the drive – Pyatigorsk to Baksan – Once you’ve circled past Pyatigorsk, you’ll pull up to a Truck Stop, where 18-wheelers must show their documents as well as what cargo they are transporting. There will be police officers at this stop, as you are leaving the Stavropol Region (i.e. Mineralni Vodi, Pyatigorsk) and entering Kabardino-Balkaria, where Mt. Elbrus is located. In the North Caucasus, this is normal, when you drive from one state/republic to another, to go through a security checkpoint. It’s very unlikely you would be stopped here, as they mainly check truckers’ documents/cargo.
Once you move through this area, you’ll drive past beautiful Lake Tambukan, which serves as a marker of the beginning of Kabardino-Balkaria. If the weather is nice, you will probably see a small group of cars and people sun-bathing and swimming to the left of the highway. Tambukan is famous throughout Russia for its black mud and the medicinal properties it carries.

You’ll notice quickly that the landscape flattens out around you and opens into beautiful farm land for miles both ways. Kabardino-Balkaria is famous for its rich soil and one of the best agricultural regions in all of Russia. Depending on which month you drive through, you may see endless rows of budding apple trees, or breath-taking fields of giant sunflowers. On a clear day, the best part of this drive is being able to see Mt. Elbrus! Elbrus’s two gentle peaks can be visible (right side of the road) for about an hour of the drive from the Kabardian village Zalukokoazhe, up to the turn-off down the Baksan Valley.
If you read/speak Russian and can read the Cyrillic alphabet, you may also notice that store signs along the way are occasionally indecipherable. This is because the local language spoken in the flatlands of Kabardino-Balkaria is Kabardian, a Circassian language. Of course everyone speaks Russian, but the Kabardian people have lived on this land for centuries and still proudly carry on their traditions and language. If you’re lucky, you could pass a young man riding on horseback in traditional Kabardian warrior dress, complete with a sheep-skin papakha hat and a kinjal/dagger in its sheath!

About 40 minutes into Kabardino-Balkaria, you will pull up to the only federal road checkpoint on the way to Mt. Elbrus, the Malka stop. You can expect to see military personnel here with guns strapped on their shoulders. The reason for this is an extra measure of security after the chaotic years of the wars in Chechnya in the 1990s and early 2000s. Often larger vans will be asked to stop, and the soldiers will make sure there is no illegal contraband stored in the trunk. You may be asked to take your passport inside the control building. You’ll pass through a metal detector and then someone behind a desk will process your passport information. Again, standard procedure and nothing to be concerned about. Depending on the people on duty, they may even practice some English on you with a smile. Sometimes, if your car is stopped, the personnel on duty may briefly check the car trunk and send you on your way, and other times, you may not be stopped at all.
After this stop, it’s about 20-25 minutes longer to the Baksan traffic circle, where you’ll turn right towards Mt. Elbrus and start the climb into the Caucasus mountains!
4) Leg 4 of the drive – Baksan Valley – Once you’ve made the turn down the Baksan Valley, the Caucasus Mountains will start gradually rising on each side of the road as you drive deeper into this beautiful valley. It really is the highlight of the drive, as the scenery gets better and better the further you drive. You can expect to have to slow down multiple times for livestock roaming the roads: cows, sheep, even the occasional horse. Welcome to the rural Caucasus! Twenty minutes off the main highway, you’ll pass a large gray/silver statue of a Caucasus man; this is the village of Kendelen. At this point in your drive, the physical AND cultural make-up of the land changes, as hills that turn into rock walls start gradually rising up on each side of the road, and villages will begin gradually transitioning from Kabardian-speaking to Balkar-speaking, a Turkic-language group that has lived for hundreds of years at the base of the mountains.

The topography on both sides of the road really is stunning, so soak in the view. After about 45-50 minutes on this road, you’ll drive into Tyrnyauz, which is a blast from the Soviet past. The apartment buildings and abandoned factories give you a clue that the city isn’t what it once was, a thriving tungsten mining town in the 1960s and 1970s. It is quite the sight to drive through this city and imagine what once was. If you have time after your Mt. Elbrus climb, it’s well worth your time to hire a local driver/guide to drive you up above the city to survey what is left of the mining town in the mountains; incredible views and history.
*** It was at this point on the Elbrus drive in 2011 that a group of terrorists shot and killed 3 Russian tourists from Moscow. This was essentially leftover residue from the conflicts in Chechnya. This is the only possible incident that Western travel warnings could be referring to when referencing safety along the route. The road to Elbrus was closed the rest of the 2011 climbing season as the Russian military secured the region from something like this happening again. Thankfully, this was the last incident of its kind along the Mt. Elbrus drive since that year (i.e. 2011). The region has increasingly grown safer with each year. Speaking personally, I remember multiple additional security checkpoints along the road in 2017, that aren’t there anymore. This is a very positive sign for the safety of the region.
Once you’ve driven through Tyrnyauz, you will start the final “descent” to Mt. Elbrus, which is about 50-60 minutes away. At this point, you will start to notice the elevation change (your ears may start popping), as you continue to “rise” up the mountain roads towards Europe’s highest point. The roads also become much curvier at this point, as you wind your way up the narrowing mountain valley. The beautiful Caucasus forests start to become more prominent as well, especially on the left side of the highway. Quite the opposite of “dangerous”, this area is very serene and if you stop at the side of a road for some pictures, you’ll notice just how quiet it is in this corner of the Caucasus Mountains. By the way, there are multiple waterfalls in the 25-minute stretch after Tirnauz, several of which you can drive up close to and hike around. Well worth the stops!

*** It’s in this stretch of road that there has been some occasional flooding in the past two decades. Heavy drainage down the mountain from glaciers melting and lakes overflowing, has resulted in small portions of the road being washed out twice in the past 20 years: 2018 and 2000. In 2018, there were sadly several local people whose car was washed away in these floods and they passed away (village of Elbrus). In 2000, the city of Tyrnyauz experienced a significant mudslide and flood down from the mountains as well.
5) Leg 5 of the drive – Lodging at the Base of Mt. Elbrus – About 20 minutes before you reach the base of Mt. Elbrus, you enter the final home-stretch of the drive. You’ll notice two things here. First, the woods create a “canopy” over the road that is very beautiful. Second, it’s obvious you’re getting close to the mountain, as hotels begin popping up on the left and right of the road. For those staying at Elbrus for a few days, there are essentially 4 hotel “zones”. You may have seen these different names online, and this is what they mean:
- Highway Hotels (villages such as Tegenekli, Elbrus, etc.) – There is a 10-15 minute stretch of wooded road with an abundance of hotels to stay at, including several nicer 4-star hotels.
- Cheget – This is on the left-side of the highway, about 10 minutes from the base of Mt. Elbrus. Cheget is actually a mountain, and has a small tourism infrastructure of hotels, restaurants, souvenir, and rental shops at the bottom. There are great 2-, 3-, and 4-star hotel options in Cheget. There’s a good chance you’ll be doing an acclimatization hike up Cheget Mountain.
- Terskol – Terskol is the last “residential” town before Mt. Elbrus, and immediately after Cheget on the highway. There are a couple hotels and restaurants here, as well as residential homes, apartment buildings, military barracks, grocery stores, and a mosque.
- Azau – Azau is the “settlement” of hotels/restaurants at the base of Mt. Elbrus. There are also multiple hotel options and restaurants here, as well as gear rental facilities and the famous cable cars/gondolas that take you up the mountain. The ski slopes of Mt. Elbrus lead right into Azau.
Azau is the end of your journey, at 7,500 feet above sea level! Three cable car/gondola rides away is Elbrus’s base camp at 13,000 feet.

As you likely experienced, the drive to Mt. Elbrus is uneventful and quite beautiful. If you have time to explore, there are numerous lakes, waterfalls, and mountain gorges along the way that are well worth a visit. We hope you enjoyed your drive, and more importantly, successfully summited Mt. Elbrus! If you have further questions about this drive or are interested in visiting/climbing Mt. Elbrus yourself, please don’t hesitate to contact us at [email protected] . Best wishes and safe climbing!